Decluttering your home
Ok, so you've decided that you want to put your property on the market, congratulations! This can be a time where you may experience mixed emotions. You may feel sad that you're leaving your 'home', but excited for what's new to come.
Then there's that moment when it dawns on you that your house needs to look in tip top shape before advertising it for sale. All of those household jobs on your 'to-do' list will need to be done- such as trimming the hedges, fixing broken items etc. Then there's the other job you'll need to tackle: de-cluttering. It's a reality that most home owners need to face, but unfortunately not all of them do.
If there was only one thing I could suggest to home owners to do in preparing their house for sale, it would be to remove clutter. Seriously. It is relatively cheap (if not free if you have somewhere to store the items), and can add value to your home when it comes time to sell. The best part about de- cluttering, is that when it comes time to move house, some of your packing is already done - bonus!!
(Next to the entry, the page also holds materials data)
+++
{"formula": "Cs2PuCl6", "functional": "r2SCAN", "state": "relaxed", "lattice": [[7.522, 0.000, 0.000], [-3.761, 6.514, 0.000], [0.000, 0.000, 6.041]], "species": ["Cs", "Cs", "Pu", "Cl", "Cl", "Cl", "Cl", "Cl", "Cl"], "frac_coords": [[0.333, 0.667, 0.238], [0.667, 0.333, 0.762], [0.000, 0.000, 0.500], [0.167, 0.334, 0.735], [0.167, 0.833, 0.735], [0.334, 0.167, 0.265], [0.666, 0.833, 0.735], [0.833, 0.167, 0.265], [0.833, 0.666, 0.265]], "total_magnetization_mub_per_fu": 4.0, "spacegroup": "P-3m1, No. 164", "total_energy_ev_per_cell": -193.334, "crystal_system": "trigonal"}
+++
Like all home owners, we want to receive a high sale price so we can move forward with our lives. In order to do this, you need to look at your home objectively- "would a potential buyer see this as clutter?". This is the first step is to start removing items that can distract a potential buyer. The second step is knowing how to successfully de-clutter your home. Below is a quick list of how you can start:
Treat this as a business transaction. Your house needs to be looking in top form to receive a fantastic sale price. This is where you’ve got to become ruthless in what you feel should stay or get packed into boxes.
Think about storage options. Can you pack items away in boxes and store in the garage? Do you need to hire storage space? What are your options with storage spaces. Eg PODS.
== What comes next are calculated crystals, not part of the article ==
____________
# 1
# CaSi2 (GGA-PBE, optimized geometry)
# calculated formation energy: -0.3214 eV/atom
data_CaSi2
_symmetry_space_group_name_H-M 'I 41/a m d'
_symmetry_Int_Tables_number 141
_cell_length_a 4.2430
_cell_length_b 4.2430
_cell_length_c 13.6862
_cell_angle_alpha 90.00
_cell_angle_beta 90.00
_cell_angle_gamma 90.00
loop_
_symmetry_equiv_pos_as_xyz
'x,y,z'
'-x,-y,-z'
'-y+1/4,x+3/4,z+1/4'
'y+1/4,-x+3/4,-z+1/4'
'-x+1/2,-y,z+1/2'
'x+1/2,y,-z+1/2'
'y+1/4,-x+1/4,z+3/4'
'-y+1/4,x+1/4,-z+3/4'
'x,-y,-z'
'-x,y,z'
'-y+1/4,-x+1/4,-z+3/4'
'y+1/4,x+1/4,z+3/4'
'-x+1/2,y,-z+1/2'
'x+1/2,-y,z+1/2'
'y+1/4,x+3/4,-z+1/4'
'-y+1/4,-x+3/4,z+1/4'
'x+1/2,y+1/2,z+1/2'
'-x+1/2,-y+1/2,-z+1/2'
'-y+3/4,x+1/4,z+3/4'
'y+3/4,-x+1/4,-z+3/4'
'-x,-y+1/2,z'
'x,y+1/2,-z'
'y+3/4,-x+3/4,z+1/4'
'-y+3/4,x+3/4,-z+1/4'
'x+1/2,-y+1/2,-z+1/2'
'-x+1/2,y+1/2,z+1/2'
'-y+3/4,-x+3/4,-z+1/4'
'y+3/4,x+3/4,z+1/4'
'-x,y+1/2,-z'
'x,-y+1/2,z'
'y+3/4,x+1/4,-z+3/4'
'-y+3/4,-x+1/4,z+3/4'
loop_
_atom_site_label
_atom_site_type_symbol
_atom_site_fract_x
_atom_site_fract_y
_atom_site_fract_z
Ca1 Ca 0.0000 0.2500 0.3750
Si1 Si 0.0000 0.2500 0.7912

# 2
# CaSi3 (GGA-PBE, optimized geometry)
# calculated formation energy: -0.1261 eV/atom
data_CaSi3
_symmetry_space_group_name_H-M 'I 4/m m m'
_symmetry_Int_Tables_number 139
_symmetry_space_group_name_Hall '-I 4 2'
_cell_length_a 7.2598
_cell_length_b 7.2598
_cell_length_c 11.3419
_cell_angle_alpha 90.00
_cell_angle_beta 90.00
_cell_angle_gamma 90.00
loop_
_atom_site_label
_atom_site_type_symbol
_atom_site_fract_x
_atom_site_fract_y
_atom_site_fract_z
Ca1 Ca 0.0000 0.0000 0.1731
Ca2 Ca 0.0000 0.5000 0.2500
Si1 Si 0.0000 0.3355 0.0000
Si2 Si 0.1854 0.1854 0.3954

# 3
# CaSi2 (GGA-PBE, optimized geometry)
# calculated formation energy: -0.3328 eV/atom
data_CaSi2
_symmetry_space_group_name_H-M 'R -3 m'
_symmetry_Int_Tables_number 166
_symmetry_space_group_name_Hall '-R 3 2"'
_cell_length_a 3.8437
_cell_length_b 3.8437
_cell_length_c 15.8646
_cell_angle_alpha 90.00
_cell_angle_beta 90.00
_cell_angle_gamma 120.00
loop_
_atom_site_label
_atom_site_type_symbol
_atom_site_fract_x
_atom_site_fract_y
_atom_site_fract_z
Ca1 Ca 0.0000 0.0000 0.0000
Si1 Si 0.0000 0.0000 0.1973

The highest calculated formation energy belongs to which entry? CaSi3

=====

Entry 1:
# Nb2Tl4Se11 | the Materials Project database | GGA-PBE | relaxed
# Crystal system   triclinic
# Energy relative to the elements   -0.792 eV per atom
# Volume   1026 Å³ per cell
data_Nb2Tl4Se11
_space_group_name_H-M_alt 'P -1'
_space_group_IT_number 2
_cell_length_a 8.1833
_cell_length_b 9.3555
_cell_length_c 14.0641
_cell_angle_alpha 72.93
_cell_angle_beta 89.24
_cell_angle_gamma 85.67
loop_
_space_group_symop_operation_xyz
'x,y,z'
'-x,-y,-z'
loop_
_atom_site_label
_atom_site_fract_x
_atom_site_fract_y
_atom_site_fract_z
_atom_site_occupancy
Nb1 0.1217 0.3669 0.3039 1
Nb2 0.3376 0.1075 0.1884 1
Tl1 0.0524 0.7609 0.9820 1
Tl2 0.2122 0.9754 0.5714 1
Tl3 0.2417 0.4169 0.5818 1
Tl4 0.4906 0.7198 0.1150 1
____________
You’ll always need more boxes than you expect.
Tackle one room at a time.
Have time focused goals once you’ve completed an area. You may reward yourself with a cup of tea/ chocolate/ 15 min rest etc.
Sort your items into the following categories: Keep, Trash, Unsure, Sell/ Charity, Fix. Pack these items away into their correct boxes.
You may choose to put coloured stickers on each box per room. For example, for all items you’re keeping from your daughters room you could have a pink sticker on the boxes, so when it comes time to unpack, you’ll know that all the pink stickered boxes will go straight into your daughters new bedroom.
Create a list of reasons why you want to sell your house. Write these down. It will help you to fight off any negative thoughts during the de- cluttering process and help to keep you motivated.
Make a note to remind yourself of why you’re going to so much effort in preparing your house for sale. This could also include photos of what you'll use the extra money on, or inspirational quotes.
Please feel free to contact Bethany on 0431109737 for more information on how we can help you prepare your home for sale, or for an obligation free quote for property styling.
Wishing you all the best!
The Little Styling Co.